It remains to search the material underneath for the word "CELL_PARAMETERS" and restate each line that has it.

- - -
Here is NaIn9Rh2 after structural relaxation from Alexandria via LeMat-Bulk. Energies are from PBE. Values from VASP.

Quantum ESPRESSO input file:
```
&SYSTEM
  ibrav = 0, nat = 24, ntyp = 3
/
ATOMIC_SPECIES
In 114.82 In.upf
Rh 102.91 Rh.upf
Na 22.99 Na.upf
ATOMIC_POSITIONS crystal
In 0.429 0.806 0.435
In 0.614 0.306 0.065
In 0.136 0.435 0.194
In 0.079 0.306 0.935
In 0.000 0.000 0.000
In 0.765 0.806 0.565
In 0.136 0.194 0.435
In 0.079 0.935 0.306
In 0.671 0.194 0.565
In 0.985 0.694 0.935
In 0.321 0.065 0.694
In 0.750 0.500 0.500
In 0.765 0.565 0.806
In 0.429 0.435 0.806
In 0.671 0.565 0.194
In 0.321 0.694 0.065
In 0.985 0.935 0.694
In 0.614 0.065 0.306
Rh 0.875 0.250 0.250
Rh 0.375 0.750 0.750
Rh 0.875 0.750 0.250
Rh 0.875 0.250 0.750
Na 0.500 0.000 0.000
Na 0.250 0.500 0.500
CELL_PARAMETERS angstrom
6.724 0.000 3.096
3.362 8.720 1.548
-0.285 0.000 9.469
```

Values from the calculation:
Total DFT energy (no corrections)   -0.25700 Ry per atom
E_form   -124.6 kJ/mol of formula units
Crystal system   tetragonal
Magnetization   0.000 μB/f.u.

---

Here is NaIn5Rh6 after structural relaxation from Alexandria via LeMat-Bulk. Energies are from PBE. Values from VASP.

Quantum ESPRESSO input file:
```
&SYSTEM
  ibrav = 0, nat = 12, ntyp = 3
/
ATOMIC_SPECIES
Rh 102.91 Rh.upf
In 114.82 In.upf
Na 22.99 Na.upf
ATOMIC_POSITIONS crystal
Rh 0.172 0.914 0.343
Rh 0.500 0.736 0.000
Rh 0.828 0.571 0.657
Rh 0.172 0.429 0.343
Rh 0.500 0.264 0.000
Rh 0.828 0.086 0.657
In 0.342 0.842 0.684
In 0.658 0.158 0.316
In 0.000 0.500 0.000
In 0.669 0.669 0.337
In 0.331 0.331 0.663
Na 0.000 0.000 0.000
CELL_PARAMETERS angstrom
-2.210 1.661 -3.633
-4.578 -4.520 0.717
-0.137 5.653 5.537
```

Values from the calculation:
Total DFT energy (no corrections)   -0.38800 Ry per atom
E_form   -408.0 kJ/mol of formula units
Crystal system   orthorhombic
Magnetization   0.000 μB/f.u.

---

Here is NaInRh after structural relaxation from Alexandria via LeMat-Bulk. Energies are from PBE. Values from VASP.

Quantum ESPRESSO input file:
```
&SYSTEM
  ibrav = 0, nat = 24, ntyp = 3
/
ATOMIC_SPECIES
In 114.82 In.upf
Na 22.99 Na.upf
Rh 102.91 Rh.upf
ATOMIC_POSITIONS crystal
In 0.298 0.000 0.500
In 0.798 0.000 0.000
In 0.702 0.000 0.500
In 0.702 0.500 0.000
In 0.202 0.500 0.500
In 0.298 0.500 0.000
In 0.798 0.500 0.500
In 0.202 0.000 0.000
Na 0.000 0.189 0.500
Na 0.500 0.311 0.500
Na 0.000 0.689 0.000
Na 0.000 0.811 0.500
Na 0.500 0.189 0.000
Na 0.500 0.811 0.000
Na 0.000 0.311 0.000
Na 0.500 0.689 0.500
Rh 0.750 0.250 0.750
Rh 0.750 0.250 0.250
Rh 0.250 0.750 0.750
Rh 0.750 0.750 0.250
Rh 0.250 0.250 0.750
Rh 0.750 0.750 0.750
Rh 0.250 0.250 0.250
Rh 0.250 0.750 0.250
CELL_PARAMETERS angstrom
-9.144 3.307 -3.357
0.391 -5.538 -6.518
-2.779 -4.216 3.415
```

Values from the calculation:
Total DFT energy (no corrections)   -0.29293 Ry per atom
E_form   -52.8 kJ/mol of formula units
Crystal system   orthorhombic
Magnetization   0.000 μB/f.u.

---

Here is NaIn2Rh2 after structural relaxation from Alexandria via LeMat-Bulk. Energies are from PBE. Values from VASP.

Quantum ESPRESSO input file:
```
&SYSTEM
  ibrav = 0, nat = 10, ntyp = 3
/
ATOMIC_SPECIES
Na 22.99 Na.upf
In 114.82 In.upf
Rh 102.91 Rh.upf
ATOMIC_POSITIONS crystal
Na 0.500 0.500 0.000
Na 0.000 0.000 0.000
In 0.157 0.657 0.500
In 0.843 0.343 0.500
In 0.343 0.157 0.500
In 0.657 0.843 0.500
Rh 0.362 0.862 0.000
Rh 0.862 0.638 0.000
Rh 0.638 0.138 0.000
Rh 0.138 0.362 0.000
CELL_PARAMETERS angstrom
-3.373 -1.352 6.891
4.313 -6.432 0.849
2.213 1.670 1.411
```

Values from the calculation:
Total DFT energy (no corrections)   -0.33920 Ry per atom
E_form   -152.1 kJ/mol of formula units
Crystal system   tetragonal
Magnetization   0.000 μB/f.u.
Distance to the lowest polymorph of the same formula   0.000 eV/atom


Entry from Alexandria via LeMat-Bulk: crystalline SrTlPCl2 at its relaxed geometry (PBE).

Properties
* uncorrected formation energy: -0.8000 eV per atom
* SG: P4/mmm
- - -

CELL_PARAMETERS angstrom
CELL_PARAMETERS angstrom
CELL_PARAMETERS angstrom
CELL_PARAMETERS angstrom